**Material**
- - -
The following is a DFT calculation (ωB97M-V/def2-TZVPD) of a 2-piece molecular cluster, C4H11NO overall at a distorted geometry.

Values from the calculation:
* E: -7863.635 eV
* charge: 0
* HOMO level: -9.9 eV
* SMILES: CC(N)=O.CC
* frontier orbital gap: 10.7 eV
* ΔE to the lowest compared entry with this formula, charge and spin: 88.6 kJ/mol

Each line ends with the natural charge from an NBO analysis.
Element x y z (Å)
C -0.8083 0.9609 2.4164  -0.7198
C -0.7751 -0.5020 2.0784  0.6595
N 0.4533 -1.1040 1.9077  -0.8244
O -1.7587 -1.0403 1.6098  -0.5841
H -0.2060 1.0908 3.3651  0.2099
H -1.7254 1.4700 2.6058  0.2447
H -0.3383 1.6412 1.6935  0.2420
H 0.4947 -2.1083 2.0168  0.3947
H 1.2955 -0.7605 2.3499  0.3776
C 0.5565 0.7724 -2.2353  -0.6051
C 0.3649 -0.6645 -2.8382  -0.6196
H 0.9214 0.7744 -1.1934  0.1974
H 1.2634 1.2816 -2.8651  0.1995
H -0.4245 1.1880 -2.2054  0.2031
H 1.3089 -1.0450 -3.2021  0.2069
H -0.1000 -1.3007 -2.0373  0.2078
H -0.5224 -0.6541 -3.4668  0.2099

----------

Entry 1:
{
  "formula": "C32H52N2O2PtSe",
  "method": "ωB97M-V with the def2-TZVPD basis set",
  "spin_multiplicity": 1,
  "total_energy_ev": -109695.89390,
  "e_lumo_ha": -0.0222,
  "symbols": ["Pt", "C", "C", "C", "C", "C", "C", "C", "Se", "C", "C", "C", "C", "C", "C", "O", "C", "C", "C", "C", "C", "C", "C", "C", "C", "O", "C", "C", "C", "C", "C", "C", "H", "H", "H", "H", "H", "H", "H", "H", "H", "H", "H", "H", "H", "H", "H", "H", "H", "H", "H", "H", "H", "H", "H", "H", "H", "H", "H", "H", "H", "H", "H", "H", "H", "H", "H", "H", "H", "H", "H", "H", "C", "C", "C", "C", "N", "N", "H", "H", "H", "H", "H", "H", "H", "H", "H", "H", "H", "H"],
- - -

**Brief**
Could you find "Values from" and "-2.0373" in the block earlier on, and give back these two lines and those between?

**Done**
Values from the calculation:
* E: -7863.635 eV
* charge: 0
* HOMO level: -9.9 eV
* SMILES: CC(N)=O.CC
* frontier orbital gap: 10.7 eV
* ΔE to the lowest compared entry with this formula, charge and spin: 88.6 kJ/mol

Each line ends with the natural charge from an NBO analysis.
Element x y z (Å)
C -0.8083 0.9609 2.4164  -0.7198
C -0.7751 -0.5020 2.0784  0.6595
N 0.4533 -1.1040 1.9077  -0.8244
O -1.7587 -1.0403 1.6098  -0.5841
H -0.2060 1.0908 3.3651  0.2099
H -1.7254 1.4700 2.6058  0.2447
H -0.3383 1.6412 1.6935  0.2420
H 0.4947 -2.1083 2.0168  0.3947
H 1.2955 -0.7605 2.3499  0.3776
C 0.5565 0.7724 -2.2353  -0.6051
C 0.3649 -0.6645 -2.8382  -0.6196
H 0.9214 0.7744 -1.1934  0.1974
H 1.2634 1.2816 -2.8651  0.1995
H -0.4245 1.1880 -2.2054  0.2031
H 1.3089 -1.0450 -3.2021  0.2069
H -0.1000 -1.3007 -2.0373  0.2078